• Wanted:
Print only the lines below with the word "Atomic" in them.
• Listing:
/*
Starting from a structure optimized by DFT (PBE), the powder XRD pattern of ZrBeOs was simulated for λ = 1.5418 Å (Cu Kα).
Lines closer than 0.1° are merged.

abc: 5.0172 5.1877 6.9085
angles: 90.00 90.00 90.00
Space group Imma (No. 74)
Asymmetric unit:
Zr  0.0000  0.2500  0.1263 [4 per cell]
Be  0.2500  0.2500  0.7500 [4 per cell]
Os  0.0000  0.0000  0.5000 [4 per cell]

Most intense lines, 10° ≤ 2θ ≤ 90°, low angle first:
h k l  2theta  intensity
1 0 1  21.9  58
0 0 2  25.8  43
2 0 0  35.8  44
1 2 1  41.3  100
1 0 3  43.2  45
0 2 2  43.6  25
2 0 2  44.6  23
2 2 2  57.7  20
3 2 1  68.1  23
2 2 4  76.4  21

~~~~~

Tb2Fe7: simulated powder XRD pattern (Cu Kα, 1.54184 Å), based on a crystal structure in Alexandria, relaxed with PBE.
Kinematic intensities with the Lorentz-polarization factor, no thermal factor.

Atomic structure:
```
data_Tb2Fe7
_chemical_formula_sum 'Tb12 Fe42'
_symmetry_space_group_name_H-M 'R -3 m'
_symmetry_Int_Tables_number 166
_symmetry_space_group_name_Hall '-R 3 2"'
_cell_length_a 5.0518
_cell_length_b 5.0518
_cell_length_c 36.2283
_cell_angle_alpha 90.00
_cell_angle_beta 90.00
_cell_angle_gamma 120.00
loop_
_atom_site_label
_atom_site_type_symbol
_atom_site_fract_x
_atom_site_fract_y
_atom_site_fract_z
_atom_site_occupancy
Tb1 Tb 0.0000 0.0000 0.0514 1
Tb2 Tb 0.0000 0.0000 0.1490 1
Fe1 Fe 0.0000 0.0000 0.2796 1
Fe2 Fe 0.0000 0.0000 0.3866 1
Fe3 Fe 0.0000 0.0000 0.5000 1
Fe4 Fe 0.0000 0.5000 0.0000 1
Fe5 Fe 0.0020 0.5010 0.1087 1
```

Principal peaks in the range 2θ from 10° to 90°, by angle:
| 2θ (°) | I (rel.) | (hkl) |
| --- | --- | --- |
| 32.1 | 46 | 1 0 10 |
| 34.1 | 30 | 0 1 11 |
| 35.5 | 51 | 1 1 0 |
| 41.3 | 35 | 0 2 1 |
| 42.2 | 100 | 1 1 9 |
| 45.0 | 20 | 0 0 18 |
| 61.7 | 14 | 2 1 10 |
| 62.9 | 10 | 1 2 11 |
| 65.5 | 10 | 1 1 21 |
| 67.1 | 14 | 2 0 20 |
| 68.4 | 22 | 0 3 9 |
| 75.2 | 20 | 2 2 0 |
*/
• Reply:
Atomic structure: